Wanted:
Please reproduce the contents further below with every line break kept.

Input:
<<<
No. 1
# CuSbTe2

A geometry-optimized CuSbTe2 structure (GGA-PBE, the Alexandria database).

POSCAR file:
```
CuSbTe2
1.0
2.205 1.273 7.715
-2.205 1.273 7.715
0.000 -2.546 7.715
Cu Sb Te
1 1 2
direct
0.000 0.000 0.000 Cu
0.522 0.522 0.522 Sb
0.115 0.115 0.115 Te
0.652 0.652 0.652 Te
```

Summary:
For the volume, the calculation gives 130 Å³/cell. As for the total energy: -3.54 eV/atom.


No. 2
# Cu2SbTe

A geometry-optimized Cu2SbTe structure (GGA-PBE, the Alexandria database).

POSCAR file:
```
Cu2SbTe
1.0
4.596 0.000 0.000
0.000 4.596 0.000
0.000 0.000 3.772
Cu Sb Te
2 1 1
direct
0.000 0.500 0.000 Cu
0.500 0.000 0.000 Cu
0.000 0.000 0.500 Sb
0.500 0.500 0.500 Te
```

Summary:
For the volume, the calculation gives 80 Å³/cell. As for the total energy: -3.51 eV/atom.


No. 3
# Cu2SbTe

A geometry-optimized Cu2SbTe structure (GGA-PBE, the Alexandria database).

POSCAR file:
```
Cu2SbTe
1.0
4.269 0.000 0.000
0.000 3.635 0.000
-1.360 0.000 5.576
Cu Sb Te
2 1 1
direct
0.177 0.000 0.208 Cu
0.823 0.000 0.792 Cu
0.500 0.500 0.000 Sb
0.000 0.500 0.500 Te
```

Summary:
For the volume, the calculation gives 87 Å³/cell. As for the total energy: -3.68 eV/atom.


No. 4
# CuSb4Te

A geometry-optimized CuSb4Te structure (GGA-PBE, the Alexandria database).

POSCAR file:
```
CuSb4Te
1.0
0.000 4.384 4.384
4.384 0.000 4.384
4.384 4.384 0.000
Cu Sb Te
1 4 1
direct
0.000 0.000 0.000 Cu
0.123 0.626 0.626 Sb
0.626 0.123 0.626 Sb
0.626 0.626 0.123 Sb
0.626 0.626 0.626 Sb
0.250 0.250 0.250 Te
```

Summary:
For the volume, the calculation gives 169 Å³/cell. As for the total energy: -3.38 eV/atom.


No. 5
# Cu2SbTe

A geometry-optimized Cu2SbTe structure (GGA-PBE, the Alexandria database).

POSCAR file:
```
Cu2SbTe
1.0
-3.087 3.087 5.278
3.087 -3.087 5.278
3.087 3.087 -5.278
Cu Sb Te
4 2 2
direct
0.123 0.625 0.998 Cu
0.375 0.373 0.498 Cu
0.627 0.125 0.002 Cu
0.875 0.877 0.502 Cu
0.250 0.750 0.500 Sb
0.500 0.500 0.000 Sb
0.000 0.000 0.000 Te
0.750 0.250 0.500 Te
```

Summary:
For the volume, the calculation gives 201 Å³/cell. As for the total energy: -3.71 eV/atom.


No. 6
# Cu2SbTe

A geometry-optimized Cu2SbTe structure (GGA-PBE, the Alexandria database).

POSCAR file:
```
Cu2SbTe
1.0
3.059 -3.703 0.000
3.059 3.703 0.000
-2.560 0.000 3.875
Cu Sb Te
2 1 1
direct
0.000 0.500 0.000 Cu
0.500 0.000 0.000 Cu
0.000 0.000 0.500 Sb
0.500 0.500 0.500 Te
```

Summary:
For the volume, the calculation gives 88 Å³/cell. As for the total energy: -3.64 eV/atom.


No. 7
# Ti2CuSbTe

A geometry-optimized Ti2CuSbTe structure (GGA-PBE, the Alexandria database).

POSCAR file:
```
Ti2CuSbTe
1.0
4.990 0.000 0.000
0.000 4.990 0.000
0.000 0.000 4.566
Ti Cu Sb Te
2 1 1 1
direct
0.000 0.500 0.000 Ti
0.500 0.000 0.000 Ti
0.000 0.000 0.000 Cu
0.000 0.000 0.500 Sb
0.500 0.500 0.500 Te
```

Summary:
For the volume, the calculation gives 114 Å³/cell. As for the total energy: -4.96 eV/atom.


No. 8
# TiCuSb2Te

A geometry-optimized TiCuSb2Te structure (GGA-PBE, the Alexandria database).

POSCAR file:
```
TiCuSb2Te
1.0
5.251 0.000 0.000
0.000 5.251 0.000
0.000 0.000 5.233
Ti Cu Sb Te
1 1 2 1
direct
0.000 0.000 0.000 Ti
0.500 0.500 0.500 Cu
0.000 0.500 0.000 Sb
0.500 0.000 0.000 Sb
0.000 0.000 0.500 Te
```

Summary:
For the volume, the calculation gives 144 Å³/cell. The calculation puts the distance to the lowest polymorph of the same formula at 0 meV per atom.


No. 9
# TiCuSb2Te

A geometry-optimized TiCuSb2Te structure (GGA-PBE, the Alexandria database).

POSCAR file:
```
TiCuSb2Te
1.0
4.997 0.000 0.000
0.000 4.997 0.000
0.000 0.000 5.276
Ti Cu Sb Te
1 1 2 1
direct
0.000 0.000 0.000 Ti
0.500 0.500 0.500 Cu
0.000 0.500 0.500 Sb
0.500 0.000 0.500 Sb
0.500 0.500 0.000 Te
```

Summary:
For the volume, the calculation gives 132 Å³/cell. The calculation puts the distance to the lowest polymorph of the same formula at 141 meV per atom.


No. 10
# TlCuSbTe2

A geometry-optimized TlCuSbTe2 structure (GGA-PBE, the Alexandria database).

POSCAR file:
```
TlCuSbTe2
1.0
5.469 0.000 0.000
>>>

Outcome:
No. 1
# CuSbTe2

A geometry-optimized CuSbTe2 structure (GGA-PBE, the Alexandria database).

POSCAR file:
```
CuSbTe2
1.0
2.205 1.273 7.715
-2.205 1.273 7.715
0.000 -2.546 7.715
Cu Sb Te
1 1 2
direct
0.000 0.000 0.000 Cu
0.522 0.522 0.522 Sb
0.115 0.115 0.115 Te
0.652 0.652 0.652 Te
```

Summary:
For the volume, the calculation gives 130 Å³/cell. As for the total energy: -3.54 eV/atom.


No. 2
# Cu2SbTe

A geometry-optimized Cu2SbTe structure (GGA-PBE, the Alexandria database).

POSCAR file:
```
Cu2SbTe
1.0
4.596 0.000 0.000
0.000 4.596 0.000
0.000 0.000 3.772
Cu Sb Te
2 1 1
direct
0.000 0.500 0.000 Cu
0.500 0.000 0.000 Cu
0.000 0.000 0.500 Sb
0.500 0.500 0.500 Te
```

Summary:
For the volume, the calculation gives 80 Å³/cell. As for the total energy: -3.51 eV/atom.


No. 3
# Cu2SbTe

A geometry-optimized Cu2SbTe structure (GGA-PBE, the Alexandria database).

POSCAR file:
```
Cu2SbTe
1.0
4.269 0.000 0.000
0.000 3.635 0.000
-1.360 0.000 5.576
Cu Sb Te
2 1 1
direct
0.177 0.000 0.208 Cu
0.823 0.000 0.792 Cu
0.500 0.500 0.000 Sb
0.000 0.500 0.500 Te
```

Summary:
For the volume, the calculation gives 87 Å³/cell. As for the total energy: -3.68 eV/atom.


No. 4
# CuSb4Te

A geometry-optimized CuSb4Te structure (GGA-PBE, the Alexandria database).

POSCAR file:
```
CuSb4Te
1.0
0.000 4.384 4.384
4.384 0.000 4.384
4.384 4.384 0.000
Cu Sb Te
1 4 1
direct
0.000 0.000 0.000 Cu
0.123 0.626 0.626 Sb
0.626 0.123 0.626 Sb
0.626 0.626 0.123 Sb
0.626 0.626 0.626 Sb
0.250 0.250 0.250 Te
```

Summary:
For the volume, the calculation gives 169 Å³/cell. As for the total energy: -3.38 eV/atom.


No. 5
# Cu2SbTe

A geometry-optimized Cu2SbTe structure (GGA-PBE, the Alexandria database).

POSCAR file:
```
Cu2SbTe
1.0
-3.087 3.087 5.278
3.087 -3.087 5.278
3.087 3.087 -5.278
Cu Sb Te
4 2 2
direct
0.123 0.625 0.998 Cu
0.375 0.373 0.498 Cu
0.627 0.125 0.002 Cu
0.875 0.877 0.502 Cu
0.250 0.750 0.500 Sb
0.500 0.500 0.000 Sb
0.000 0.000 0.000 Te
0.750 0.250 0.500 Te
```

Summary:
For the volume, the calculation gives 201 Å³/cell. As for the total energy: -3.71 eV/atom.


No. 6
# Cu2SbTe

A geometry-optimized Cu2SbTe structure (GGA-PBE, the Alexandria database).

POSCAR file:
```
Cu2SbTe
1.0
3.059 -3.703 0.000
3.059 3.703 0.000
-2.560 0.000 3.875
Cu Sb Te
2 1 1
direct
0.000 0.500 0.000 Cu
0.500 0.000 0.000 Cu
0.000 0.000 0.500 Sb
0.500 0.500 0.500 Te
```

Summary:
For the volume, the calculation gives 88 Å³/cell. As for the total energy: -3.64 eV/atom.


No. 7
# Ti2CuSbTe

A geometry-optimized Ti2CuSbTe structure (GGA-PBE, the Alexandria database).

POSCAR file:
```
Ti2CuSbTe
1.0
4.990 0.000 0.000
0.000 4.990 0.000
0.000 0.000 4.566
Ti Cu Sb Te
2 1 1 1
direct
0.000 0.500 0.000 Ti
0.500 0.000 0.000 Ti
0.000 0.000 0.000 Cu
0.000 0.000 0.500 Sb
0.500 0.500 0.500 Te
```

Summary:
For the volume, the calculation gives 114 Å³/cell. As for the total energy: -4.96 eV/atom.


No. 8
# TiCuSb2Te

A geometry-optimized TiCuSb2Te structure (GGA-PBE, the Alexandria database).

POSCAR file:
```
TiCuSb2Te
1.0
5.251 0.000 0.000
0.000 5.251 0.000
0.000 0.000 5.233
Ti Cu Sb Te
1 1 2 1
direct
0.000 0.000 0.000 Ti
0.500 0.500 0.500 Cu
0.000 0.500 0.000 Sb
0.500 0.000 0.000 Sb
0.000 0.000 0.500 Te
```

Summary:
For the volume, the calculation gives 144 Å³/cell. The calculation puts the distance to the lowest polymorph of the same formula at 0 meV per atom.


No. 9
# TiCuSb2Te

A geometry-optimized TiCuSb2Te structure (GGA-PBE, the Alexandria database).

POSCAR file:
```
TiCuSb2Te
1.0
4.997 0.000 0.000
0.000 4.997 0.000
0.000 0.000 5.276
Ti Cu Sb Te
1 1 2 1
direct
0.000 0.000 0.000 Ti
0.500 0.500 0.500 Cu
0.000 0.500 0.500 Sb
0.500 0.000 0.500 Sb
0.500 0.500 0.000 Te
```

Summary:
For the volume, the calculation gives 132 Å³/cell. The calculation puts the distance to the lowest polymorph of the same formula at 141 meV per atom.


No. 10
# TlCuSbTe2

A geometry-optimized TlCuSbTe2 structure (GGA-PBE, the Alexandria database).

POSCAR file:
```
TlCuSbTe2
1.0
5.469 0.000 0.000